Most neural networks can be easily fooled by adding small amounts of noise to actual data. Even such a small amount of noise has a huge impact and affects the end result with wrong predictions. In this blog, we discuss how Generating Adversarial Networks (GANs) are used in improving document enhancement.
GANs are unsupervised learning models that are composed of generator and discriminator models. The generator generates fake data almost identical to actual data to try and fool the discriminator. The discriminator's job is to distinguish between actual data and fake data generated by the generator. The generator and discriminator are both neural networks trained in parallel. So that in parallel, the generator gets trained to generate fake data and the discriminator is trained to identify fake data from actual data (refer to the below figure).
Let’s understand this using a popular example of the forger (generator), whose task is to create fraudulent imitations of original paintings by famous artists. If he can pass off this work as an original art piece, the forger can potentially get a lot of money out of it. On the other hand, there is an investigator (discriminator) whose task is to catch these forgers. Here the investigator is fully aware of the properties of original paintings and able to differentiate between the original and the forged one. This contest of forger and investigator goes on, which ultimately makes best investigator and forger.
The competition between these two models is what improves their knowledge until the generator succeeds in creating realistic data. Discriminator weights are updated to maximize the probability that any real data input is classified as belonging to the real data set while minimizing the probability that any fake data is classified as belonging to real data sets.
Here are the few applications of GANs:
Crystal structures from another source follow
Computed, not measured: crystalline PaInAgCl6 at its relaxed geometry at the PBE level of DFT.

## Properties
Fermi-level density of states	0.95	states/eV/cell
uncorrected formation energy	-1351	meV/atom
total moment	2.0	μB per cell
theoretical density	3.7	g/cm3

Structure (CIF):
```
data_PaInAgCl6
_chemical_formula_sum 'Pa2 In2 Ag2 Cl12'
_cell_length_a 7.0001
_cell_length_b 7.0001
_cell_length_c 14.1975
_cell_angle_alpha 90.00
_cell_angle_beta 90.00
_cell_angle_gamma 120.00
_symmetry_space_group_name_H-M 'P -3 1 c'
_symmetry_Int_Tables_number 163
_symmetry_space_group_name_Hall '-P 3 2c'
loop_
_atom_site_label
_atom_site_type_symbol
_atom_site_fract_x
_atom_site_fract_y
_atom_site_fract_z
Pa1 Pa 0.3333 0.6667 0.2500
In1 In 0.0000 0.0000 0.0000
Ag1 Ag 0.3333 0.6667 0.7500
Cl1 Cl 0.0151 0.3667 0.1406
```

Computed, not measured: crystalline ReAs2Rh at its relaxed geometry at the PBE level of DFT.

## Properties
Fermi-level density of states	3.24	states/eV/cell
total moment	0.0	μB per cell
energy of formation	0.0192	eV/atom
theoretical density	10.7	g/cm3

Structure (CIF):
```
data_ReAs2Rh
_chemical_formula_sum 'Re1 As2 Rh1'
_cell_length_a 2.932
_cell_length_b 2.932
_cell_length_c 7.932
_cell_angle_alpha 90.00
_cell_angle_beta 90.00
_cell_angle_gamma 90.00
_symmetry_space_group_name_H-M 'P 4 m m'
_symmetry_Int_Tables_number 99
loop_
_symmetry_equiv_pos_as_xyz
'x,y,z'
'-y,x,z'
'-x,-y,z'
'y,-x,z'
'-x,y,z'
'y,x,z'
'x,-y,z'
'-y,-x,z'
loop_
_atom_site_label
_atom_site_type_symbol
_atom_site_fract_x
_atom_site_fract_y
_atom_site_fract_z
Re1 Re 0.000 0.000 0.000
As1 As 0.000 0.000 0.437
As2 As 0.500 0.500 0.801
Rh1 Rh 0.500 0.500 0.236
```

Computed, not measured: crystalline MgSbTeO6 at its relaxed geometry at the PBE level of DFT.

## Properties
Fermi-level density of states	3.57	states/eV/cell
uncorrected formation energy	-1436	meV/atom
total moment	0.0	μB per cell
theoretical density	5.7	g/cm3

Structure (CIF):
```
data_MgSbTeO6
_chemical_formula_sum 'Mg2 Sb2 Te2 O12'
_cell_length_a 5.2195
_cell_length_b 5.2195
_cell_length_c 9.1370
_cell_angle_alpha 90.00
_cell_angle_beta 90.00
_cell_angle_gamma 120.00
_symmetry_space_group_name_H-M 'P -3 1 c'
_symmetry_Int_Tables_number 163
_symmetry_space_group_name_Hall '-P 3 2c'
loop_
_atom_site_label
_atom_site_type_symbol
_atom_site_fract_x
_atom_site_fract_y
_atom_site_fract_z
Mg1 Mg 0.3333 0.6667 0.2500
Sb1 Sb 0.0000 0.0000 0.0000
Te1 Te 0.3333 0.6667 0.7500
O1 O 0.0167 0.3509 0.6312
```

Computed, not measured: crystalline CaIr2 at its relaxed geometry at the PBE level of DFT.

## Properties
Fermi-level density of states	11.15	states/eV/cell
total moment	1.1	μB per cell
energy of formation	0.3633	eV/atom
theoretical density	13.0	g/cm3

Structure (CIF):
```
data_CaIr2
_chemical_formula_sum 'Ca2 Ir4'
_cell_length_a 2.753
_cell_length_b 7.977
_cell_length_c 4.944
_cell_angle_alpha 90.00
_cell_angle_beta 90.00
_cell_angle_gamma 90.00
_symmetry_space_group_name_H-M 'P n n m'
_symmetry_Int_Tables_number 58
loop_
In GAN, there is no control over models of the data to be generated. The conditional GAN changes that by adding the "label y" as an additional parameter to the generator and hopes that the corresponding images are generated. We also add the labels to the discriminator input to distinguish real images better.
Generative adversarial nets can be extended to a conditional model if both the generator and discriminator are conditioned on some extra information y. The y could be any kind of auxiliary information, such as class labels or data from other modalities. We can perform the conditioning by feeding y into both discriminator and generator as an additional input layer.
The generative model is trained to generate new samples from the input domain along with some additional input. The discriminator is also conditioned by adding some additional information along with input images which can be either real or fake. For example, if we would like to convert horse type to zebra type images, then one generator side must be a condition y, and input to the generator must be a horse but not anything else.
Image to image translation is a goal to map input and output image pairs using a trained set of aligned image pairs. But getting the aligned image pairs for training is a complex task. Thus CycleGans (CGans) are helpful in translating an image from domain X to domain Y without paired images.
For CGans, there will be two generators, G and F. Generator G has a goal to map from domain X to domain Y (G: X->Y), and the other Generator F has a goal to map from domain Y to domain X (D:Y->X). Both these generators have their respective discriminators, Dy and Dx, while these Dx and Dy are models are designed to distinguish between input and output images.
CycleGans are used to convert one source of the domain to another source and vice versa where there is a lack of data. The below image is a sample output of a model which is trained using CycleGan, where zebra images are converted to horse images and similarly horse images are converted to zebra images.
CycleGans can clean documents via denoising or by background noise removal, deblurring, watermark removal and defading for improving readability. Sample datasets can be obtained from kaggle document dataset and BMVC deblurring document datasets.
Figure: CycleGANs Implementation of Document Cleaning Process
As shown in the above figure, the first generator GB maps the image from noisy domain A (IA) to output image in target clean domain B (OB). To make sure that a meaningful relationship exists between IA and OB, they must learn some features which can be used to map back OB to the original noisy input domain. This reverse transformation is carried by the second generator GA which takes input OB and converts it back into an image CA in the noisy domain.
A similar process of transformation is carried out for converting images in clean domain B to noise domain. Here both discriminators will take two inputs, original image, and images generated by the generator. Discriminators task is to reject the fake images i.e., images generated by the generator. Thus generator tries to provide more accurate images in a way it is similar to the original image.
The generator network consists of two Conv2D layers of stride 2, several skip connections (residual blocks) and two layers of transposed conv2D with stride 1. The discriminator network uses 70 X 70 PatchGans to classify 70 X 70 overlapping patches of images as real or fake.
Below are some sample results after removing noise from the documents.
It is difficult to obtain clean images corresponding to a noisy image. CycleGANs are preferred because it works well for unpaired data sets. CycleGANs are not only for image data sets but also for the image to text, speech to text and text to text conversions.
Ravi Teja works as a data scientist at V-Soft Digital. He holds a masters degree from the University of Hyderabad in Artificial Intelligence specialization. He is very much passionate about developing applications related to computer vision, Natural language processing with Keras and TensorFlow backend. He has hands-on experience in Opencv(python), Matlab and Tableau (data visualization).